Turning up the luminosity: Fermilab contributes important CMS upgrades April 19, 2018 CMSHigh-Luminosity LHCHL-LHCLarge Hadron ColliderLHCFermilab feature Fermilab helps build a tracker more sensitive than ever before for the CMS experiment at CERN’s Large Hadron Collider.
It's baby bison time at Fermilab! April 18, 2018 bisonenvironmentPress release On Wednesday, April 18, baby bison season officially began at Fermilab. The first calf of the year was born in the early morning hours, with a second appearing before noon. Neighbors are welcome to visit with the newborns.
U.S., India sign agreement providing for neutrino physics collaboration at Fermilab and in India April 16, 2018 Deep Underground Neutrino ExperimentDUNEdune-internationalIndiaIndia-Based Neutrino ObservatoryinternationalityLBNFLong-Baseline Neutrino FacilityneutrinoPress release U.S. Secretary of Energy Rick Perry and India’s Atomic Energy Secretary Sekhar Basu signed an agreement that opens the way for jointly advancing LBNF/DUNE.
Tricia Vahle elected new co-spokesperson of NOvA experiment April 12, 2018 neutrinoNOvApeopleFermilab feature The William & Mary professor will help lead the neutrino program into the future.
Aiming at a target: the science of particle production April 11, 2018 accelerator researchaccelerator scienceDeep Underground Neutrino ExperimentDUNELBNFLong-Baseline Neutrino FacilityneutrinoNOvAtargetryFermilab feature In particle physics, the target is the site of particle creation. It’s a straightforward role with complex considerations.
ADMX announces breakthrough in axion dark matter detection technology April 9, 2018 ADMXaxionBrookhavenCaliforniadark matterFloridaLawrence Livermore National LaboratoryNew YorkPacific Northwest National LaboratoryUniversity of FloridaUniversity of RochesterUniversity of WashingtonWashingtonPress release New result draws on 30 years of research and development and begins the definitive search for axion particles.
Neutrino experiment at Fermilab delivers an unprecedented measurement April 6, 2018 ArgonneIllinoisIndianaIndiana UniversityLos Alamos National LaboratoryMichiganMiniBooNEneutrinoNew MexicoresultUniversity of MichiganFermilab feature MiniBooNE scientists discover a way to eliminate a major source of uncertainty in subatomic measurements with muon neutrinos.
**Calculated crystals from another source follow:**
No. 1
# VGa (PBE, optimized geometry)
# Calculated volume   29.1 Å³/f.u.
# Formation energy from the elements   -0.1255 eV per atom
data_VGa
_space_group_name_H-M_alt 'P -6 m 2'
_space_group_IT_number 187
_space_group_name_Hall 'P -6 2'
_cell_length_a 2.7764
_cell_length_b 2.7764
_cell_length_c 4.3548
_cell_angle_alpha 90.00
_cell_angle_beta 90.00
_cell_angle_gamma 120.00
loop_
_atom_site_label
_atom_site_type_symbol
_atom_site_fract_x
_atom_site_fract_y
_atom_site_fract_z
V1 V 0.0000 0.0000 0.0000
Ga1 Ga 0.3333 0.6667 0.5000

***

No. 2
# CeOF (PBE, optimized geometry)
# Calculated volume   45.5 Å³/f.u.
# Formation energy from the elements   -4.0021 eV per atom
data_CeOF
_space_group_name_H-M_alt 'F -4 3 m'
_space_group_IT_number 216
_space_group_name_Hall 'F -4 2 3'
_cell_length_a 5.668
_cell_length_b 5.668
_cell_length_c 5.668
_cell_angle_alpha 90.00
_cell_angle_beta 90.00
_cell_angle_gamma 90.00
loop_
_atom_site_label
_atom_site_type_symbol
_atom_site_fract_x
_atom_site_fract_y
_atom_site_fract_z
Ce1 Ce 0.000 0.000 0.000
O1 O 0.250 0.250 0.250
F1 F 0.250 0.250 0.750

***

No. 3
# YMgTiS4 (PBE, optimized geometry)
# Calculated volume   156.3 Å³/f.u.
# Formation energy from the elements   -1.8560 eV per atom
data_YMgTiS4
_space_group_name_H-M_alt 'I m m a'
_space_group_IT_number 74
_space_group_name_Hall '-I 2b 2'
_cell_length_a 7.464
_cell_length_b 7.771
_cell_length_c 10.780
_cell_angle_alpha 90.00
_cell_angle_beta 90.00
_cell_angle_gamma 90.00
loop_
_atom_site_label
_atom_site_type_symbol
_atom_site_fract_x
_atom_site_fract_y
_atom_site_fract_z
Y1 Y 0.000 0.000 0.000
Mg1 Mg 0.000 0.250 0.373
Ti1 Ti 0.250 0.250 0.750
S1 S 0.000 0.026 0.747
S2 S 0.250 0.250 0.518

***

No. 4
# Ca3Ga4Ni4 (PBE, optimized geometry)
# Calculated volume   202.4 Å³/f.u.
# Formation energy from the elements   -0.4872 eV per atom
data_Ca3Ga4Ni4
_space_group_name_H-M_alt 'I -4 3 m'
_space_group_IT_number 217
_space_group_name_Hall 'I -4 2 3'
_cell_length_a 7.397
_cell_length_b 7.397
_cell_length_c 7.397
_cell_angle_alpha 90.00
_cell_angle_beta 90.00
_cell_angle_gamma 90.00
loop_
_atom_site_label
_atom_site_type_symbol
_atom_site_fract_x
_atom_site_fract_y
_atom_site_fract_z
Ca1 Ca 0.000 0.000 0.500
Ga1 Ga 0.195 0.195 0.195
Ni1 Ni 0.123 0.123 0.877

***

No. 5
# CuTeO5 (PBE, optimized geometry)
# Energy above the most stable polymorph in this dataset   0.0 meV/atom
# Calculated volume   100.3 Å³/f.u.
# Formation energy from the elements   -0.4770 eV per atom
data_CuTeO5
_space_group_name_H-M_alt 'P 21 21 21'
_space_group_IT_number 19
_space_group_name_Hall 'P 2ac 2ab'
_cell_length_a 4.803
_cell_length_b 7.758
_cell_length_c 10.767
_cell_angle_alpha 90.00
_cell_angle_beta 90.00
_cell_angle_gamma 90.00
loop_
_atom_site_label
_atom_site_type_symbol
_atom_site_fract_x
_atom_site_fract_y
_atom_site_fract_z
Cu1 Cu 0.070 0.110 0.431
Te1 Te 0.173 0.191 0.131
O1 O 0.035 0.954 0.997
O2 O 0.037 0.861 0.466
O3 O 0.054 0.610 0.239
O4 O 0.061 0.686 0.711
O5 O 0.167 0.342 0.476

***
Fermilab to host Photowalk for photographers on July 28 March 14, 2018 CERNInteractionsphotographyphotowalkFermilab feature Fermilab will participate in the 2018 Global Physics Photowalk with a local Photowalk on July 28. Registration will open on June 4.
DUNE collaboration elects University of Manchester's Stefan Soldner-Rembold as new co-spokesperson March 13, 2018 Deep Underground Neutrino ExperimentDUNELBNFLong-Baseline Neutrino FacilityneutrinopeopleFermilab feature Soldner-Rembold has experience leading a large collaboration and has been working in neutrino physics for more than a decade.
Lia Merminga to lead Fermilab's next accelerator project March 12, 2018 peopleFermilab feature On March 1, Lia Merminga, an internationally renowned accelerator physicist with leadership experience at three science laboratories, took on the role of project director for the Proton Improvement Plan II.